• Source:
********
No. 1
A plane-wave DFT calculation with PBE was carried out for a relaxed structure of BC3Se.

a b c (Å): 3.8493 3.8493 3.8493
angles (deg): 90.00 90.00 90.00
Closest atoms and distances in Å follow each position.
Fractional positions:
1 B 0.0000 0.0000 0.0000  12 C 2.72
2 C 0.0000 0.5000 0.5000  2 Se 1.92
3 C 0.5000 0.0000 0.5000  2 Se 1.92
4 C 0.5000 0.5000 0.0000  2 Se 1.92
5 Se 0.5000 0.5000 0.5000  6 C 1.92

Computed properties:
Crystal system ... cubic
Formation energy from raw total energies ... 3.67 eV per atom
Space-group type ... Pm-3m (221)



No. 2
A plane-wave DFT calculation with PBE was carried out for a relaxed structure of Sc2InIN.

a b c (Å): 4.4193 4.4193 6.1867
angles (deg): 90.00 90.00 90.00
Closest atoms and distances in Å follow each position.
Fractional positions:
1 Sc 0.0000 0.5000 0.0000  2 N 2.21
2 Sc 0.5000 0.0000 0.0000  2 N 2.21
3 In 0.0000 0.0000 0.5000  2 N 3.09, 4 I 3.12
4 I 0.5000 0.5000 0.5000  4 In 3.12
5 N 0.0000 0.0000 0.0000  4 Sc 2.21

Computed properties:
Crystal system ... tetragonal
Formation energy from raw total energies ... -0.29 eV per atom
Space-group type ... P4/mmm (123)



No. 3
A plane-wave DFT calculation with PBE was carried out for a relaxed structure of La3ThPa2N6.

a b c (Å): 6.2865 6.2865 6.3486
angles (deg): 99.49 99.49 119.97
Closest atoms and distances in Å follow each position.
Fractional positions:
1 La 0.0000 0.0000 0.0000  6 N 2.66-2.78
2 La 0.3336 0.6664 0.0000  6 N 2.66-2.79
3 La 0.6664 0.3336 0.0000  6 N 2.66-2.79
4 Th 0.5000 0.5000 0.5000  6 N 2.52-2.53
5 Pa 0.1667 0.8333 0.5000  6 N 2.38-2.39
6 Pa 0.8333 0.1667 0.5000  6 N 2.38-2.39
7 N 0.0808 0.4310 0.2932  2 Pa 2.39, 1 Th 2.53, 1 La 2.66
8 N 0.2177 0.2177 0.7040  2 Pa 2.38, 1 Th 2.52, 1 La 2.66
9 N 0.4310 0.0808 0.2932  2 Pa 2.39, 1 Th 2.53, 1 La 2.66
10 N 0.5690 0.9192 0.7068  2 Pa 2.39, 1 Th 2.53, 1 La 2.66
11 N 0.7823 0.7823 0.2960  2 Pa 2.38, 1 Th 2.52, 1 La 2.66
12 N 0.9192 0.5690 0.7068  2 Pa 2.39, 1 Th 2.53, 1 La 2.66

Computed properties:
Crystal system ... monoclinic
Formation energy from raw total energies ... -1.56 eV per atom
Space-group type ... C2/m (12)



No. 4
A plane-wave DFT calculation with PBE was carried out for a relaxed structure of Cs3PuI8.

a b c (Å): 10.5552 10.5552 10.5552
angles (deg): 131.23 131.23 71.45
Closest atoms and distances in Å follow each position.
Fractional positions:
1 Cs 0.0000 0.0000 0.0000  8 I 3.98
2 Cs 0.2500 0.7500 0.5000  8 I 3.94
3 Cs 0.7500 0.2500 0.5000  8 I 3.94
4 Pu 0.5000 0.5000 0.0000  8 I 3.24
5 I 0.1762 0.1762 0.5703  1 Pu 3.24
6 I 0.1762 0.6059 0.0000  1 Pu 3.24
7 I 0.3941 0.3941 0.5703  1 Pu 3.24
8 I 0.3941 0.8238 0.0000  1 Pu 3.24
9 I 0.6059 0.1762 0.0000  1 Pu 3.24
10 I 0.6059 0.6059 0.4297  1 Pu 3.24
11 I 0.8238 0.3941 0.0000  1 Pu 3.24
12 I 0.8238 0.8238 0.4297  1 Pu 3.24

Computed properties:
Crystal system ... tetragonal
Formation energy from raw total energies ... -1.03 eV per atom
Space-group type ... I4/mmm (139)



No. 5
A plane-wave DFT calculation with PBE was carried out for a relaxed structure of Cs2SrAg2Cl6.

a b c (Å): 8.0106 8.0106 8.1128
angles (deg): 115.27 115.27 58.97
Closest atoms and distances in Å follow each position.
Fractional positions:
********

• To do:
Reproduce the whole of the block further up unchanged.

• Solution:
No. 1
A plane-wave DFT calculation with PBE was carried out for a relaxed structure of BC3Se.

a b c (Å): 3.8493 3.8493 3.8493
angles (deg): 90.00 90.00 90.00
Closest atoms and distances in Å follow each position.
Fractional positions:
1 B 0.0000 0.0000 0.0000  12 C 2.72
2 C 0.0000 0.5000 0.5000  2 Se 1.92
3 C 0.5000 0.0000 0.5000  2 Se 1.92
4 C 0.5000 0.5000 0.0000  2 Se 1.92
5 Se 0.5000 0.5000 0.5000  6 C 1.92

Computed properties:
Crystal system ... cubic
Formation energy from raw total energies ... 3.67 eV per atom
Space-group type ... Pm-3m (221)



No. 2
A plane-wave DFT calculation with PBE was carried out for a relaxed structure of Sc2InIN.

a b c (Å): 4.4193 4.4193 6.1867
angles (deg): 90.00 90.00 90.00
Closest atoms and distances in Å follow each position.
Fractional positions:
1 Sc 0.0000 0.5000 0.0000  2 N 2.21
2 Sc 0.5000 0.0000 0.0000  2 N 2.21
3 In 0.0000 0.0000 0.5000  2 N 3.09, 4 I 3.12
4 I 0.5000 0.5000 0.5000  4 In 3.12
5 N 0.0000 0.0000 0.0000  4 Sc 2.21

Computed properties:
Crystal system ... tetragonal
Formation energy from raw total energies ... -0.29 eV per atom
Space-group type ... P4/mmm (123)



No. 3
A plane-wave DFT calculation with PBE was carried out for a relaxed structure of La3ThPa2N6.

a b c (Å): 6.2865 6.2865 6.3486
angles (deg): 99.49 99.49 119.97
Closest atoms and distances in Å follow each position.
Fractional positions:
1 La 0.0000 0.0000 0.0000  6 N 2.66-2.78
2 La 0.3336 0.6664 0.0000  6 N 2.66-2.79
3 La 0.6664 0.3336 0.0000  6 N 2.66-2.79
4 Th 0.5000 0.5000 0.5000  6 N 2.52-2.53
5 Pa 0.1667 0.8333 0.5000  6 N 2.38-2.39
6 Pa 0.8333 0.1667 0.5000  6 N 2.38-2.39
7 N 0.0808 0.4310 0.2932  2 Pa 2.39, 1 Th 2.53, 1 La 2.66
8 N 0.2177 0.2177 0.7040  2 Pa 2.38, 1 Th 2.52, 1 La 2.66
9 N 0.4310 0.0808 0.2932  2 Pa 2.39, 1 Th 2.53, 1 La 2.66
10 N 0.5690 0.9192 0.7068  2 Pa 2.39, 1 Th 2.53, 1 La 2.66
11 N 0.7823 0.7823 0.2960  2 Pa 2.38, 1 Th 2.52, 1 La 2.66
12 N 0.9192 0.5690 0.7068  2 Pa 2.39, 1 Th 2.53, 1 La 2.66

Computed properties:
Crystal system ... monoclinic
Formation energy from raw total energies ... -1.56 eV per atom
Space-group type ... C2/m (12)



No. 4
A plane-wave DFT calculation with PBE was carried out for a relaxed structure of Cs3PuI8.

a b c (Å): 10.5552 10.5552 10.5552
angles (deg): 131.23 131.23 71.45
Closest atoms and distances in Å follow each position.
Fractional positions:
1 Cs 0.0000 0.0000 0.0000  8 I 3.98
2 Cs 0.2500 0.7500 0.5000  8 I 3.94
3 Cs 0.7500 0.2500 0.5000  8 I 3.94
4 Pu 0.5000 0.5000 0.0000  8 I 3.24
5 I 0.1762 0.1762 0.5703  1 Pu 3.24
6 I 0.1762 0.6059 0.0000  1 Pu 3.24
7 I 0.3941 0.3941 0.5703  1 Pu 3.24
8 I 0.3941 0.8238 0.0000  1 Pu 3.24
9 I 0.6059 0.1762 0.0000  1 Pu 3.24
10 I 0.6059 0.6059 0.4297  1 Pu 3.24
11 I 0.8238 0.3941 0.0000  1 Pu 3.24
12 I 0.8238 0.8238 0.4297  1 Pu 3.24

Computed properties:
Crystal system ... tetragonal
Formation energy from raw total energies ... -1.03 eV per atom
Space-group type ... I4/mmm (139)



No. 5
A plane-wave DFT calculation with PBE was carried out for a relaxed structure of Cs2SrAg2Cl6.

a b c (Å): 8.0106 8.0106 8.1128
angles (deg): 115.27 115.27 58.97
Closest atoms and distances in Å follow each position.
Fractional positions: